-- Listing --
Entry from OMol25: a molecular structure, B3BrH4NO4PZn (ωB97M-V/def2-TZVPD).

```
15
Properties=species:S:1:pos:R:3:mulliken_charge:R:1
N 0.922 0.946 1.949 -0.166
B 0.364 1.055 0.700 0.534
O -0.870 1.752 0.384 -0.471
B -1.893 1.025 -0.257 0.606
O -1.341 0.368 -1.425 -0.435
B -0.183 -0.433 -1.130 0.697
P -0.077 -2.355 -1.424 0.079
O 1.474 -2.703 -1.176 -0.392
Br -1.105 -2.590 0.516 -0.066
O 0.844 0.445 -0.597 -0.514
H 1.464 0.096 2.100 0.272
H 1.442 1.697 2.398 0.300
H -3.012 0.967 0.092 0.114
H 2.007 -2.273 -0.495 0.341
Zn -0.036 2.002 -1.636 1.099
```

Values from the calculation:
Kohn-Sham gap ... 4.19 eV
Total charge ... +2
Total energy ... -139509.926 eV
HOMO ... -16.6 eV

----------

1.
The following is a DFT calculation (ωB97M-V/def2-TZVPD) of a single C6H6 molecule.

Calculated values
HOMO level, eV: -7.69
Gap between HOMO and LUMO, eV: 7.73

Geometry (Å):
C 2.44382 -0.20775 -0.03792
C 0.05862 0.55390 -0.07837
C -2.48169 -0.28685 -0.14363
C 1.17485 -0.51383 -0.12548
C 0.03408 -1.09901 0.48938
C -1.17775 -0.55846 0.07622
H 2.70918 0.83459 -0.04717
H 3.24080 -0.92973 0.01171
H 0.18155 1.28725 0.68123
H -0.10534 1.20759 -0.95374
H -3.27878 -1.03182 0.15307
H -2.79932 0.74411 -0.02531

---

2.
The following is a DFT calculation (ωB97M-V/def2-TZVPD) of 13 unconnected molecules or ions with the total composition C26H78O13.

Calculated values
HOMO level, eV: -9.99
Gap between HOMO and LUMO, eV: 10.02

Geometry (Å):
C -5.73109 -0.83633 -3.73229
C -6.73095 -1.94679 -3.83121
O -7.31795 -2.17477 -2.59840
H -6.25132 0.10378 -3.54886
H -5.27089 -0.74696 -4.71632
H -5.04250 -1.02634 -2.90896
H -6.33033 -2.83850 -4.31333
H -7.49404 -1.61802 -4.53669
H -6.63667 -2.52476 -2.01964
C -4.41001 4.42261 0.68052
C -5.52449 3.37036 0.85112
O -6.27099 3.71323 1.98256
H -4.92128 5.37009 0.51027
H -3.67094 4.12364 -0.06278
H -3.81438 4.48657 1.59115
H -5.09444 2.38184 1.01232
H -6.13815 3.36871 -0.04973
H -7.14493 3.38143 1.76405
C 5.83073 0.33120 -3.68991
C 5.74053 -1.06012 -3.00483
O 5.04207 -1.95961 -3.83293
H 6.05392 0.34187 -4.75676
H 6.63722 0.90089 -3.22824
H 4.92141 0.88508 -3.45655
H 5.32019 -0.94858 -2.00535
H 6.74608 -1.45428 -2.85782
H 4.87616 -2.75290 -3.31837
C 2.10110 -2.91544 8.57815
C 1.58861 -3.51733 7.27619
O 0.19747 -3.62830 7.47550
H 2.02821 -3.66961 9.36174
H 1.60727 -1.98742 8.86626
H 3.15336 -2.66107 8.45108
H 2.06700 -4.45845 7.00502
H 1.89337 -2.85007 6.46998
H 0.04680 -4.23123 8.20720
C -0.28719 -5.29459 -5.44517
C -0.34176 -6.82819 -5.44298
O -1.06131 -7.13482 -6.58890
H -0.00587 -4.91159 -6.42612
H 0.34369 -4.90351 -4.64695
H -1.29429 -4.92817 -5.24617
H -0.83248 -7.27031 -4.57590
H 0.66124 -7.25486 -5.43660
H -1.07956 -8.08613 -6.71646
C -4.11488 -0.54285 4.98789
C -2.76850 -0.55722 4.26743
O -2.47863 -1.87719 3.92975
H -4.52925 0.43938 5.21511
H -4.13865 -1.08109 5.93543
H -4.86555 -1.01613 4.35496
H -2.00911 -0.09505 4.89818
H -2.87727 0.02468 3.35219
H -2.15979 -2.26881 4.74619
C -3.42867 -6.53229 1.02387
C -3.56097 -5.37768 0.02380
O -4.32745 -4.37483 0.57822
H -2.66641 -7.19036 0.60675
H -4.35878 -7.09904 0.98153
H -3.01564 -6.29312 2.00383
H -4.05212 -5.74498 -0.87728
H -2.60368 -4.93452 -0.25062
H -3.73258 -4.05622 1.26103
C 2.56704 3.30156 6.37051
C 3.99857 3.74168 6.01938
O 4.45889 3.03536 4.89485
H 2.38719 2.23047 6.46279
H 1.81555 3.61197 5.64456
H 2.26263 3.64224 7.36014
H 4.70632 3.55086 6.82609
H 4.03088 4.81585 5.83713
H 5.40934 3.13153 4.98973
C 3.29370 -7.27776 1.34244
C 2.85617 -6.23779 0.31560
O 3.79701 -6.27295 -0.74552
H 4.29233 -7.01176 1.68895
H 3.44854 -8.26193 0.90025
H 2.55101 -7.36458 2.13553
H 2.75893 -5.25957 0.78649
H 1.84833 -6.50309 -0.00374
H 3.76552 -7.15219 -1.12963
C 3.62202 7.71405 -4.28227
C 3.67827 6.18215 -3.96176
O 2.45738 5.82635 -3.31016
H 2.73044 8.00123 -4.83969
H 4.45290 7.88852 -4.96588
H 3.73353 8.36753 -3.41704
H 4.54240 5.90485 -3.35805
H 3.83674 5.61664 -4.88001
H 2.67614 5.01871 -2.83956
C -1.62082 2.97403 -6.41090
C -0.43374 2.05217 -6.52511
-- Activity --
Next, retype all of the lines further above verbatim.
-- Worked solution --
Entry from OMol25: a molecular structure, B3BrH4NO4PZn (ωB97M-V/def2-TZVPD).

```
15
Properties=species:S:1:pos:R:3:mulliken_charge:R:1
N 0.922 0.946 1.949 -0.166
B 0.364 1.055 0.700 0.534
O -0.870 1.752 0.384 -0.471
B -1.893 1.025 -0.257 0.606
O -1.341 0.368 -1.425 -0.435
B -0.183 -0.433 -1.130 0.697
P -0.077 -2.355 -1.424 0.079
O 1.474 -2.703 -1.176 -0.392
Br -1.105 -2.590 0.516 -0.066
O 0.844 0.445 -0.597 -0.514
H 1.464 0.096 2.100 0.272
H 1.442 1.697 2.398 0.300
H -3.012 0.967 0.092 0.114
H 2.007 -2.273 -0.495 0.341
Zn -0.036 2.002 -1.636 1.099
```

Values from the calculation:
Kohn-Sham gap ... 4.19 eV
Total charge ... +2
Total energy ... -139509.926 eV
HOMO ... -16.6 eV

----------

1.
The following is a DFT calculation (ωB97M-V/def2-TZVPD) of a single C6H6 molecule.

Calculated values
HOMO level, eV: -7.69
Gap between HOMO and LUMO, eV: 7.73

Geometry (Å):
C 2.44382 -0.20775 -0.03792
C 0.05862 0.55390 -0.07837
C -2.48169 -0.28685 -0.14363
C 1.17485 -0.51383 -0.12548
C 0.03408 -1.09901 0.48938
C -1.17775 -0.55846 0.07622
H 2.70918 0.83459 -0.04717
H 3.24080 -0.92973 0.01171
H 0.18155 1.28725 0.68123
H -0.10534 1.20759 -0.95374
H -3.27878 -1.03182 0.15307
H -2.79932 0.74411 -0.02531

---

2.
The following is a DFT calculation (ωB97M-V/def2-TZVPD) of 13 unconnected molecules or ions with the total composition C26H78O13.

Calculated values
HOMO level, eV: -9.99
Gap between HOMO and LUMO, eV: 10.02

Geometry (Å):
C -5.73109 -0.83633 -3.73229
C -6.73095 -1.94679 -3.83121
O -7.31795 -2.17477 -2.59840
H -6.25132 0.10378 -3.54886
H -5.27089 -0.74696 -4.71632
H -5.04250 -1.02634 -2.90896
H -6.33033 -2.83850 -4.31333
H -7.49404 -1.61802 -4.53669
H -6.63667 -2.52476 -2.01964
C -4.41001 4.42261 0.68052
C -5.52449 3.37036 0.85112
O -6.27099 3.71323 1.98256
H -4.92128 5.37009 0.51027
H -3.67094 4.12364 -0.06278
H -3.81438 4.48657 1.59115
H -5.09444 2.38184 1.01232
H -6.13815 3.36871 -0.04973
H -7.14493 3.38143 1.76405
C 5.83073 0.33120 -3.68991
C 5.74053 -1.06012 -3.00483
O 5.04207 -1.95961 -3.83293
H 6.05392 0.34187 -4.75676
H 6.63722 0.90089 -3.22824
H 4.92141 0.88508 -3.45655
H 5.32019 -0.94858 -2.00535
H 6.74608 -1.45428 -2.85782
H 4.87616 -2.75290 -3.31837
C 2.10110 -2.91544 8.57815
C 1.58861 -3.51733 7.27619
O 0.19747 -3.62830 7.47550
H 2.02821 -3.66961 9.36174
H 1.60727 -1.98742 8.86626
H 3.15336 -2.66107 8.45108
H 2.06700 -4.45845 7.00502
H 1.89337 -2.85007 6.46998
H 0.04680 -4.23123 8.20720
C -0.28719 -5.29459 -5.44517
C -0.34176 -6.82819 -5.44298
O -1.06131 -7.13482 -6.58890
H -0.00587 -4.91159 -6.42612
H 0.34369 -4.90351 -4.64695
H -1.29429 -4.92817 -5.24617
H -0.83248 -7.27031 -4.57590
H 0.66124 -7.25486 -5.43660
H -1.07956 -8.08613 -6.71646
C -4.11488 -0.54285 4.98789
C -2.76850 -0.55722 4.26743
O -2.47863 -1.87719 3.92975
H -4.52925 0.43938 5.21511
H -4.13865 -1.08109 5.93543
H -4.86555 -1.01613 4.35496
H -2.00911 -0.09505 4.89818
H -2.87727 0.02468 3.35219
H -2.15979 -2.26881 4.74619
C -3.42867 -6.53229 1.02387
C -3.56097 -5.37768 0.02380
O -4.32745 -4.37483 0.57822
H -2.66641 -7.19036 0.60675
H -4.35878 -7.09904 0.98153
H -3.01564 -6.29312 2.00383
H -4.05212 -5.74498 -0.87728
H -2.60368 -4.93452 -0.25062
H -3.73258 -4.05622 1.26103
C 2.56704 3.30156 6.37051
C 3.99857 3.74168 6.01938
O 4.45889 3.03536 4.89485
H 2.38719 2.23047 6.46279
H 1.81555 3.61197 5.64456
H 2.26263 3.64224 7.36014
H 4.70632 3.55086 6.82609
H 4.03088 4.81585 5.83713
H 5.40934 3.13153 4.98973
C 3.29370 -7.27776 1.34244
C 2.85617 -6.23779 0.31560
O 3.79701 -6.27295 -0.74552
H 4.29233 -7.01176 1.68895
H 3.44854 -8.26193 0.90025
H 2.55101 -7.36458 2.13553
H 2.75893 -5.25957 0.78649
H 1.84833 -6.50309 -0.00374
H 3.76552 -7.15219 -1.12963
C 3.62202 7.71405 -4.28227
C 3.67827 6.18215 -3.96176
O 2.45738 5.82635 -3.31016
H 2.73044 8.00123 -4.83969
H 4.45290 7.88852 -4.96588
H 3.73353 8.36753 -3.41704
H 4.54240 5.90485 -3.35805
H 3.83674 5.61664 -4.88001
H 2.67614 5.01871 -2.83956
C -1.62082 2.97403 -6.41090
C -0.43374 2.05217 -6.52511